Wanted:
Repeat the notes underneath unchanged.
Material:
____________
Entry 1:
Formula: C35H37N7O5S2SiTi
Source: the Open Molecules 2025 dataset
Level of theory: ωB97M-V/def2-TZVPD

Output
HOMO-LUMO gap (spin up / spin down) in eV: 4.4595 / 5.8350
Largest force on an atom in Eh/bohr: 0.016
Total charge: -2
Relative energy (zero: lowest compared OMol25 entry of this formula, charge and spin) in kcal/mol: 2.6
Lowest unoccupied orbital energy (spin up / spin down) in eV: 3.83 / 3.83
2S+1: 3
Highest occupied orbital energy (spin up / spin down) in hartree: -0.023 / -0.074

Geometry (Å):
1 Ti -0.35395 0.06239 -0.02660
2 C 1.82694 5.60648 -2.83900
3 C 1.87005 4.40591 -1.93280
4 C 1.91014 4.53286 -0.54449
5 C 1.85454 3.42457 0.28214
6 C 1.75366 2.11434 -0.21741
7 N 1.51803 0.99356 0.55181
8 C 2.36588 0.72060 1.60186
9 C 3.56982 1.42570 1.81473
10 C 4.38629 1.20822 2.90857
11 C 4.08987 0.23276 3.85319
12 C 4.94352 -0.01230 5.06731
13 C 2.96683 -0.54165 3.60892
14 C 2.12406 -0.32310 2.52657
15 N 1.00398 -1.20864 2.40485
16 C 0.46040 -1.91312 3.41665
17 C -0.37307 -2.86247 2.87085
18 C -0.27591 -2.65304 1.49191
19 N 0.56139 -1.66756 1.20402
20 C 1.79437 2.00958 -1.62265
21 C 1.81430 3.12031 -2.45144
22 N 1.83394 0.72557 -2.23450
23 C 2.55030 0.37774 -3.32544
24 C 2.31560 -0.95600 -3.55972
25 C 1.43126 -1.33991 -2.53734
26 N 1.15680 -0.32343 -1.73809
27 H 2.08025 6.51592 -2.29240
28 H 0.82930 5.74143 -3.26567
29 H 2.52764 5.50757 -3.67101
30 H 1.95821 5.52122 -0.09896
31 H 1.86628 3.55211 1.35700
32 H 3.85206 2.18847 1.10131
33 H 5.27698 1.81786 3.02954
34 H 5.48735 0.89221 5.34555
35 H 5.67642 -0.80550 4.88394
36 H 4.32920 -0.29541 5.92288
37 H 2.73395 -1.33223 4.31142
38 H 0.69030 -1.68267 4.44264
39 H -0.99120 -3.56652 3.39896
40 H -0.81659 -3.13071 0.69025
41 H 1.75034 2.97091 -3.52477
42 H 3.18943 1.09018 -3.81763
43 H 2.72771 -1.56284 -4.34665
44 H 0.96880 -2.29393 -2.34900
45 C -3.83362 -1.01480 -4.80880
46 Si -3.69005 0.83836 -4.65476
47 C -2.91993 1.47558 -6.25120
48 C -5.43597 1.53207 -4.54503
49 C -2.70935 1.57347 -3.23676
50 C -2.68130 2.95813 -3.18354
51 C -1.99574 3.64175 -2.18293
52 C -1.32819 2.88039 -1.24942
53 N -1.31959 1.54592 -1.25880
54 C -2.00808 0.86555 -2.22056
55 S -1.94297 -0.84411 -2.07629
56 H -4.44034 -1.24545 -5.69172
57 H -4.30224 -1.44973 -3.92686
58 H -2.85427 -1.47996 -4.91296
59 H -3.48993 1.14162 -7.12289
60 H -1.89817 1.10173 -6.35000
61 H -2.87703 2.56676 -6.27029
62 H -6.05189 1.17761 -5.37643
63 H -5.43910 2.62396 -4.56171
64 H -5.90746 1.21469 -3.61246
65 H -3.21101 3.53363 -3.93996
66 H -1.97634 4.72153 -2.13020
67 H -0.75557 3.35236 -0.45982
68 N -0.82658 2.08016 2.27228
69 C -0.33694 1.83290 3.55066
70 C -0.94875 0.85986 4.34720
71 C -0.37283 0.47468 5.54413
72 C 0.81605 1.04351 5.98380
73 C 1.38435 2.06521 5.23868
74 C 0.80998 2.46114 4.03982
75 S 1.63768 0.36638 7.41823
76 O 0.69079 0.48791 8.51974
77 O 1.90473 -1.02117 7.03088
78 O 2.84998 1.16399 7.57778
79 H -1.81412 1.88471 2.10725
80 H -0.51099 2.94313 1.85786
81 H -1.84363 0.37075 3.98062
82 H -0.82834 -0.31025 6.13774
83 H 2.30682 2.51019 5.58725
84 H 1.28849 3.23359 3.44851
85 O -3.52005 1.21142 1.64602
86 C -3.23477 0.07253 1.26209
87 O -2.08129 -0.41942 1.10876
88 H -4.07205 -0.65255 1.14859

Force components x, y, z for each atom (eV/Å):
Ti 0.0 -0.6 0.1
C 0.0 0.0 0.0
C 0.0 0.0 0.1
C 0.0 0.0 -0.1
C 0.0 0.0 0.1
C -0.1 0.0 -0.1
N 0.4 0.1 0.2
C 0.0 0.0 -0.1
C 0.0 0.0 0.0
C 0.0 -0.1 0.1
C 0.0 0.1 -0.1
C 0.0 0.0 0.0
C 0.0 0.0 0.0
C 0.0 0.0 0.0
N 0.1 -0.2 0.1
C 0.0 0.0 0.0
C 0.1 0.0 0.0
C 0.0 -0.1 0.0
N -0.1 0.2 0.1
C 0.0 0.0 0.0
C 0.0 0.1 0.0
N 0.0 0.0 0.2
C 0.1 0.0 0.0
C 0.0 0.0 0.1
C 0.0 0.0 0.1
N -0.2 0.1 -0.3
H 0.0 0.0 0.0
H 0.0 0.0 0.0
H 0.0 0.0 0.0
H 0.0 0.0 0.0
H 0.0 0.0 0.0
H 0.0 0.0 0.0
H 0.0 0.0 0.0
H 0.0 0.0 0.0
H 0.0 0.0 0.0
H 0.0 0.0 0.0
H 0.0 0.0 0.0
H 0.0 0.0 0.0
H 0.0 0.0 0.0
H 0.0 0.0 0.0
H 0.0 0.0 0.0
H 0.0 0.0 0.0
H 0.0 0.0 0.0
H 0.0 0.0 0.0
C 0.0 0.0 0.0
Si 0.0 0.0 0.1
C 0.0 0.0 -0.1
C 0.0 0.0 0.0
C 0.1 -0.2 0.1
C -0.1 0.2 -0.1
C 0.0 -0.1 0.0
C 0.0 0.1 0.0
N -0.1 0.2 -0.2
____________
Solution:
Entry 1:
Formula: C35H37N7O5S2SiTi
Source: the Open Molecules 2025 dataset
Level of theory: ωB97M-V/def2-TZVPD

Output
HOMO-LUMO gap (spin up / spin down) in eV: 4.4595 / 5.8350
Largest force on an atom in Eh/bohr: 0.016
Total charge: -2
Relative energy (zero: lowest compared OMol25 entry of this formula, charge and spin) in kcal/mol: 2.6
Lowest unoccupied orbital energy (spin up / spin down) in eV: 3.83 / 3.83
2S+1: 3
Highest occupied orbital energy (spin up / spin down) in hartree: -0.023 / -0.074

Geometry (Å):
1 Ti -0.35395 0.06239 -0.02660
2 C 1.82694 5.60648 -2.83900
3 C 1.87005 4.40591 -1.93280
4 C 1.91014 4.53286 -0.54449
5 C 1.85454 3.42457 0.28214
6 C 1.75366 2.11434 -0.21741
7 N 1.51803 0.99356 0.55181
8 C 2.36588 0.72060 1.60186
9 C 3.56982 1.42570 1.81473
10 C 4.38629 1.20822 2.90857
11 C 4.08987 0.23276 3.85319
12 C 4.94352 -0.01230 5.06731
13 C 2.96683 -0.54165 3.60892
14 C 2.12406 -0.32310 2.52657
15 N 1.00398 -1.20864 2.40485
16 C 0.46040 -1.91312 3.41665
17 C -0.37307 -2.86247 2.87085
18 C -0.27591 -2.65304 1.49191
19 N 0.56139 -1.66756 1.20402
20 C 1.79437 2.00958 -1.62265
21 C 1.81430 3.12031 -2.45144
22 N 1.83394 0.72557 -2.23450
23 C 2.55030 0.37774 -3.32544
24 C 2.31560 -0.95600 -3.55972
25 C 1.43126 -1.33991 -2.53734
26 N 1.15680 -0.32343 -1.73809
27 H 2.08025 6.51592 -2.29240
28 H 0.82930 5.74143 -3.26567
29 H 2.52764 5.50757 -3.67101
30 H 1.95821 5.52122 -0.09896
31 H 1.86628 3.55211 1.35700
32 H 3.85206 2.18847 1.10131
33 H 5.27698 1.81786 3.02954
34 H 5.48735 0.89221 5.34555
35 H 5.67642 -0.80550 4.88394
36 H 4.32920 -0.29541 5.92288
37 H 2.73395 -1.33223 4.31142
38 H 0.69030 -1.68267 4.44264
39 H -0.99120 -3.56652 3.39896
40 H -0.81659 -3.13071 0.69025
41 H 1.75034 2.97091 -3.52477
42 H 3.18943 1.09018 -3.81763
43 H 2.72771 -1.56284 -4.34665
44 H 0.96880 -2.29393 -2.34900
45 C -3.83362 -1.01480 -4.80880
46 Si -3.69005 0.83836 -4.65476
47 C -2.91993 1.47558 -6.25120
48 C -5.43597 1.53207 -4.54503
49 C -2.70935 1.57347 -3.23676
50 C -2.68130 2.95813 -3.18354
51 C -1.99574 3.64175 -2.18293
52 C -1.32819 2.88039 -1.24942
53 N -1.31959 1.54592 -1.25880
54 C -2.00808 0.86555 -2.22056
55 S -1.94297 -0.84411 -2.07629
56 H -4.44034 -1.24545 -5.69172
57 H -4.30224 -1.44973 -3.92686
58 H -2.85427 -1.47996 -4.91296
59 H -3.48993 1.14162 -7.12289
60 H -1.89817 1.10173 -6.35000
61 H -2.87703 2.56676 -6.27029
62 H -6.05189 1.17761 -5.37643
63 H -5.43910 2.62396 -4.56171
64 H -5.90746 1.21469 -3.61246
65 H -3.21101 3.53363 -3.93996
66 H -1.97634 4.72153 -2.13020
67 H -0.75557 3.35236 -0.45982
68 N -0.82658 2.08016 2.27228
69 C -0.33694 1.83290 3.55066
70 C -0.94875 0.85986 4.34720
71 C -0.37283 0.47468 5.54413
72 C 0.81605 1.04351 5.98380
73 C 1.38435 2.06521 5.23868
74 C 0.80998 2.46114 4.03982
75 S 1.63768 0.36638 7.41823
76 O 0.69079 0.48791 8.51974
77 O 1.90473 -1.02117 7.03088
78 O 2.84998 1.16399 7.57778
79 H -1.81412 1.88471 2.10725
80 H -0.51099 2.94313 1.85786
81 H -1.84363 0.37075 3.98062
82 H -0.82834 -0.31025 6.13774
83 H 2.30682 2.51019 5.58725
84 H 1.28849 3.23359 3.44851
85 O -3.52005 1.21142 1.64602
86 C -3.23477 0.07253 1.26209
87 O -2.08129 -0.41942 1.10876
88 H -4.07205 -0.65255 1.14859

Force components x, y, z for each atom (eV/Å):
Ti 0.0 -0.6 0.1
C 0.0 0.0 0.0
C 0.0 0.0 0.1
C 0.0 0.0 -0.1
C 0.0 0.0 0.1
C -0.1 0.0 -0.1
N 0.4 0.1 0.2
C 0.0 0.0 -0.1
C 0.0 0.0 0.0
C 0.0 -0.1 0.1
C 0.0 0.1 -0.1
C 0.0 0.0 0.0
C 0.0 0.0 0.0
C 0.0 0.0 0.0
N 0.1 -0.2 0.1
C 0.0 0.0 0.0
C 0.1 0.0 0.0
C 0.0 -0.1 0.0
N -0.1 0.2 0.1
C 0.0 0.0 0.0
C 0.0 0.1 0.0
N 0.0 0.0 0.2
C 0.1 0.0 0.0
C 0.0 0.0 0.1
C 0.0 0.0 0.1
N -0.2 0.1 -0.3
H 0.0 0.0 0.0
H 0.0 0.0 0.0
H 0.0 0.0 0.0
H 0.0 0.0 0.0
H 0.0 0.0 0.0
H 0.0 0.0 0.0
H 0.0 0.0 0.0
H 0.0 0.0 0.0
H 0.0 0.0 0.0
H 0.0 0.0 0.0
H 0.0 0.0 0.0
H 0.0 0.0 0.0
H 0.0 0.0 0.0
H 0.0 0.0 0.0
H 0.0 0.0 0.0
H 0.0 0.0 0.0
H 0.0 0.0 0.0
H 0.0 0.0 0.0
C 0.0 0.0 0.0
Si 0.0 0.0 0.1
C 0.0 0.0 -0.1
C 0.0 0.0 0.0
C 0.1 -0.2 0.1
C -0.1 0.2 -0.1
C 0.0 -0.1 0.0
C 0.0 0.1 0.0
N -0.1 0.2 -0.2